Tag Archives: audience

The Before and Now:

E-learning has affected students today in both good ways and bad. Before e-learning I was up at a set time each morning, took the bus to and from class, and had my whole day carved out. There was a distinct accountability system, where I was obligated to show up to class to get notes and participation points.

Now, classes are set up via recorded lectures or live video conferences. I can ask questions in the chats during live lectures and email if I am confused on the recorded lectures. It has shortened the length of most of my classes because we are not directly interfacing. Test schedules remain the same; exams are proctored and timed, using Lockdown browsers. I have less of a schedule, making things harder to time-manage.

What I like/miss about e-learning today? Benefits vs. how it could be improved?

What I like about e-learning is that I save time not traveling to and from class and I have more “free time.” I also don’t have to be up at a given time, I can watch prerecorded lectures at my convenience, and tests are open book.

What I miss about in-person classes is seeing my friends during my classes, walking the campus, interfacing with professors, getting off topic with entertaining teachers, and having a set schedule.

Benefits of e-learning include time spent going to class can be used elsewhere, certain tests are easier, and I can take time to do things I wouldn’t normally do (ex: go to a park, walk a trail, explore Mt. Sequoyah).

Areas of improvement for e-learning today include live lectures to help with questions that need to be addressed. It would be beneficial if classes with recorded lectures could go live once weekly. This also may help with understanding material if one is directly interfacing with the professor. Also, I would appreciate potentially adjusting the test material such that it is not significantly more difficult than any in-class test would be.

Lessons that are applicable to business and working from home:

Lesson 1: Just because you technically have more free time, it may not feel like it. With E-learning today, you must become a time-management expert! It is so easy to procrastinate if one is not physically going to class or work. We are more productive when our work is public rather than private!

Lesson 2: Nail down a routine- whether it be waking up at a specified time each day, setting working hours, or scheduling breaks in between work. Routines keep you on-track, motivated, and they deliver results.

Lesson 3: Keep your videoconferencing as close to “normal” as possible. Test the software before you schedule a call so that if it needs finetuning you are not wasting other people’s time. Be professional and minimize distractions! If you know your dog will bark when the mailman comes, either put yourself at the opposite end of the house or put the dog up while you videoconference.

Whether we realize it or not, E-learning affects students today. Awareness of these small changes can lead to improvements in productivity. Taking advantage of the benefits may change your working or learning style for the better.

Nonprofits work hard for little money and recognition. With few resources, you’re doing the best you can. But don’t think for a second that just because your organization is a nonprofit that you can’t have great marketing.

Remember, nonprofit is a tax status, not a case for support. Being a nonprofit alone is not a reason for anyone to give. Nonprofits must tell the public about the good they are doing and how people can help.

Here are 5 common nonprofit marketing mistakes and how to fix them:

Mistake #1: Not Participating in Social Media

The point of social media is to be social. Too many nonprofits post only about themselves, follow only a few accounts, do not respond to comments, and ask without giving in return.

This is the equivalent of meeting someone at a party who only talks about themselves, talks your ear off for 20 minutes, and then asks for $50.

Don’t be that guy.

Here is a good rule of thumb to remember when it comes to social content:

  • A third of your social content should promote your organization, converts readers and generates donations.
  • Devote a third of your social content to sharing ideas and stories from thought leaders in your industry or like-minded organizations.
  • A third of your social content should be fun stuff to show that there are human beings behind your social media handles.

Mistake #2: Forgetting Who Your Audience Is

Too often, organizations market to themselves. They only consider what appeals to them and not their supporters. Step outside of your perspective and think long and hard about your audience.

Are your supporters older, younger, parents, young professionals? Are they more likely to respond to digital appeals or direct mail? What do they care about the most – saving time, professional development, kids, the environment, education, social issues? Put yourself in your supporters’ shoes.

Mistake #3: Brand Inconsistency

A consistent brand is a strong brand. Brand consistency builds trust and increases loyalty.

Stretched logos, incorrect brand colors, spelling errors, pixelated photos – if they happen once or twice, it’s a simple mistake. If they happen all the time, it makes your organization look homespun at best, or unprofessional worst. And that can erode trust.

Mistake #4: Too Much Text

As they say, a picture is worth a thousand words. And a thousand words alone is, well, not something anyone wants to read.

Your supporters lead busy lives. Take a closer look at your content and figure out where you can tighten your copy.

# The page is interrupted by records of crystals
<<<
Entry 1:
# GGA-PBE HfBiIN2, optimized geometry
data_HfBiIN2
_cell_length_a 4.349
_cell_length_b 4.349
_cell_length_c 5.952
_cell_angle_alpha 90.00
_cell_angle_beta 90.00
_cell_angle_gamma 90.00
_space_group_name_H-M_alt 'P 4/m m m'
_space_group_IT_number 123
_space_group_name_Hall '-P 4 2'
loop_
_atom_site_label
_atom_site_type_symbol
_atom_site_fract_x
_atom_site_fract_y
_atom_site_fract_z
Hf1 Hf 0.000 0.000 0.000
Bi1 Bi 0.500 0.500 0.500
I1 I 0.500 0.500 0.000
N1 N 0.000 0.500 0.500
# Energy above the lowest structure with this stoichiometry, eV per atom: 1.283
# Formation energy without anion corrections, eV per atom: 1.789

---

Entry 2:
# GGA-PBE LiHfN2F, optimized geometry
data_LiHfN2F
_cell_length_a 4.143
_cell_length_b 4.143
_cell_length_c 4.198
_cell_angle_alpha 90.00
_cell_angle_beta 90.00
_cell_angle_gamma 90.00
_space_group_name_H-M_alt 'P 4/m m m'
_space_group_IT_number 123
_space_group_name_Hall '-P 4 2'
loop_
_atom_site_label
_atom_site_type_symbol
_atom_site_fract_x
_atom_site_fract_y
_atom_site_fract_z
Li1 Li 0.000 0.000 0.000
Hf1 Hf 0.500 0.500 0.500
N1 N 0.000 0.500 0.500
F1 F 0.500 0.500 0.000
# Energy above the lowest structure with this stoichiometry, eV per atom: 0.000
# Formation energy without anion corrections, eV per atom: -0.954
>>>

Mistake #5: Boring Photography

Scott Kirkwood, former editor-in-chief at the National Parks Conservation Association magazine, put it best in a HOW Magazine article:

“…if you helped the nearest national park receive money for a new building, don’t show a photo of that building – it’s a building. Think about how that building will change the life of a visitor. Will the park be able to offer more bird-watching programs as a result? Great. Show a photo of a bird.”

Don’t think that just because your organization is a nonprofit that you can’t afford great photography. The latest smart phones can take great pictures and with a few tutorials, you could be well on your way to taking great photos.

Show photos of the people, animals, environments, etc. helped by your programs.

Show, don’t tell.

You’re trying to do good on a shoestring budget and a skeleton staff. We get it. Its understandable if this seems overwhelming. Great marketing is a constantly moving target that poses a challenge for many organizations.

If you want to talk about your organization’s marketing challenges, give us a call.

We love a challenge.